


Meeting Date:

April 14, 2009





Darby Fuerst,


WDS Permitting


General Manager

Line Item No.: 



Prepared By:

Henrietta Stern

Cost Estimate:



General Counsel Approval:  N/A

Committee Recommendation:  The Administrative Committee reviewed this item on April 14, 2009 and recommended ____________________.

CEQA Compliance:  N/A


SUMMARY:  The Board will consider authorizing staff to retain David J. Powers and Associates (DJP) for a not-to-exceed amount of $180,869 to prepare a Subsequent Environmental Impact Report (SEIR) on the water-related impacts of California American Water (CAW) production of up to 90 acre-feet per year (AFY) to serve the proposed Monterey Bay Shores Ecoresort (MBSE) in Sand City.  The scope of work, cost estimate and schedule is provided as Exhibit 3-A.  Preparation of the SEIR stems from action by the District Board regarding Application #20080915MBS submitted by co-applicants CAW and Security National Guaranty, Inc. (SNG).  At its February 26, 2009 meeting, the District Board took the following action: 


1.      Denied Application #20080915MBS without prejudice;

2.      Directed staff to prepare Findings of Denial for consideration on March 26, 2009; and

3.      Determined that if the applicant wishes to proceed with the application, MPWMD shall prepare a SEIR focused on water issues prior to consideration.


Regarding Item #2, the Board adopted the Findings of Denial at its March 26, 2009 meeting.  The primary issues identified in the Findings include: (a) inadequate documentation of the environmental effects of exercising SNG’s water rights through service by CAW, (b) need to evaluate alternative means of supplying the MBSE parcel from Seaside Basin sources, and (c) the desire for the public to have an opportunity to comment on a recent environmental document for the project.


Regarding Item #3 above, at this writing on April 7, 2009, co-applicant SNG has verbally confirmed that it wishes to move forward on the application and is prepared to fund the preparation of an SEIR.  However, the co-applicants have not seen the scope, cost and schedule provided in Exhibit 3-A.  Written confirmation from both co-applicants will be required prior to execution of a contract with DJP.

As shown in Exhibit 3-A, the key components of the scope are to prepare a Draft and Final SEIR in compliance with the California Environmental Quality Act (CEQA).  This includes circulation of a Notice of Preparation, technical report preparation and review, Draft SEIR preparation, meetings and public hearings, and response to public comments. A major work task is evaluation of hydrologic impacts, to be performed by Todd Engineers.  Other impact assessments relate to: aquatic resources on the Carmel River due to potential use of Carmel River water as a source of supply; water supply for CAW customers; cumulative impacts; and alternative means of supplying water to the project site via SNG’s water rights in the Seaside Basin.  It is noted that the Seaside Basin Adjudication assigned 149 AFY to the MBSE parcel, and 90 AFY of that amount are slated for the MBSE project.


The estimated cost would be $180,869.  This includes a base amount of $164,426 plus a 10% contingency of $16,443 given that unforeseen factors could affect the effort needed to address pertinent SEIR issues.  The total estimated timeline is 43 weeks from when the consultant receives details of water supply timing and volume from CAW (i.e., water supply description). 


RECOMMENDATION:  District staff recommends that the Board should:


  1. Authorize staff to contract with DJP for the scope of work provided in Exhibit 3-A, at a cost not to exceed $180,869.   This includes a 10% contingency ($16,443) that would not be released unless authorized by the General Manager in response to a written request by the consultant.


  1. Direct staff to execute a contract with DJP upon receipt of: (a) applicant payment of District permit processing expenses through March 31, 2009 ($18,035); and (b) executed Reimbursement Agreement for the SEIR between MPWMD and the two co-applicants.  The applicants were advised of these recommendations by e-mail in early April 2009.


DJP is recommended as a sole-source contractor in order to maximize efficiency and minimize delay.  The firm prepared the December 2008 Addendum to the original 1998 EIR on the project, and thus is familiar with the project and setting.  DJP would subcontract with Todd Engineers for hydrology tasks, as Todd has ongoing experience in the Seaside Basin including coordination with MPWMD staff.  Aquatic issues will be addressed by H. T. Harvey and Associates.


At its April 14, 2009 meeting, the Administrative Committee recommended that the Board ___________.


BACKGROUND AND DISCUSSION:  Public hearings on the CAW/MBSE application were held on November 17, 2008; and on January 29, February 26, and March 26, 2009.  Extensive background information is provided in the materials prepared for previous meetings.

The November 17, 2008 materials are available on the District website at: (Item 11).

The January 29, 2009 staff report and presentation materials are available on the website at: (Item 18).

The February 26, 2009 staff report and presentation materials are available on the website at: (Item 15).

The March 26, 2009 staff report and presentation materials are available on the website at: (Item 14).

The Addendum to the Final Environmental Impact Report, Monterey Bay Shores Resort, SCH #97091005 (printed Dec. 2008) considered by the City of Sand City on January 20, 2009 is on the District website at: (water-related text only).

The Seaside Basin adjudication decision and related information are available on the Watermaster’s website at: 

Quantum chemistry results, kept here for reference.
+++
# C4H14NO7

A 5-piece molecular cluster, C4H14NO7 overall (wB97M-V/def2-TZVPD, the Open Molecules 2025 dataset).

XYZ file:
```
26
Properties=species:S:1:pos:R:3:forces:R:3:lowdin_charge:R:1
H -2.089 -1.443 -0.501 -0.0604 -0.1534 -0.5938 0.104
H 3.350 1.802 -1.451 0.1245 0.0976 -0.0687 0.033
O -2.356 -2.166 2.574 0.1935 0.4214 -0.8373 0.028
C -0.337 -0.024 -0.676 -1.0532 -1.1251 -0.4530 -0.641
H 0.792 -2.945 -0.274 -0.0306 -0.0421 0.1014 0.067
H 1.946 1.472 -0.975 -0.3749 0.1962 0.0112 0.018
H 0.382 -1.705 1.384 -0.9475 0.7239 -0.0200 0.135
H 1.086 3.851 -1.250 -0.0714 0.2529 -0.3906 -0.002
H -2.011 -0.203 0.692 0.4188 -0.4089 0.6368 0.118
H 1.275 3.433 0.111 0.0934 0.0958 0.4168 0.012
C -0.579 -1.955 0.882 -0.8914 -1.8635 0.3059 -0.347
C -1.456 -2.639 1.910 -0.4594 0.2610 2.0234 -0.236
H 1.580 -0.168 0.907 0.5147 0.1349 1.0679 -0.018
O -0.442 0.015 -1.911 0.1459 -0.3810 0.2425 -0.038
O 2.232 -0.473 1.637 0.0278 -0.4347 -1.0312 -0.136
O 1.148 4.251 -0.380 -0.2797 0.1813 0.2600 -0.090
H -1.873 1.931 -1.532 0.0482 -0.9095 -0.0261 0.011
H 2.873 -1.009 1.142 -0.1448 0.2530 0.3651 0.018
C -1.394 -0.917 0.134 1.7747 1.7063 -0.6250 -0.054
N -0.160 -3.104 0.039 0.9365 0.1577 -0.6367 0.033
H -1.206 -3.673 2.176 0.4768 -0.4175 -0.5073 0.105
H -0.664 -3.230 -0.833 -0.4601 0.3462 0.1968 0.072
O 2.486 2.206 -1.338 0.2294 -0.8063 -0.0995 -0.074
H -0.622 1.953 -2.505 -0.2297 -0.9435 0.4006 0.013
O 0.543 0.539 0.031 0.0621 0.2037 -0.2729 -0.071
O -1.249 2.467 -1.997 -0.0432 2.4537 -0.4663 -0.060
```
Forces are in eV/Å.

Properties
* E_LUMO: 3.2 eV
* Kohn-Sham gap: 9.05 eV
* total charge: -1

---

# C58H49ClNO7P2Pd

C58H49ClNO7P2Pd as an isolated structure (wB97M-V/def2-TZVPD, the Open Molecules 2025 dataset).

XYZ file:
```
119
Properties=species:S:1:pos:R:3:forces:R:3:lowdin_charge:R:1
O -1.750 3.267 -1.162 0.1354 2.2725 -3.4468 -0.227
N 1.453 1.836 5.634 0.7428 -0.4054 -0.2167 -0.061
C -0.419 1.337 7.038 1.7164 -0.0926 -0.8997 -0.699
C -4.135 0.300 1.484 -0.1544 -0.0378 -0.0780 -0.075
H 0.968 4.516 -4.640 0.1600 -0.0795 -0.0540 0.100
H -6.306 2.363 -2.433 -0.0847 -0.1471 -0.1530 0.108
C -4.844 4.210 0.608 -0.1901 0.0825 -0.0729 -0.075
C -1.120 0.748 1.468 -0.7477 -0.5464 0.3579 -0.348
H -3.029 -2.442 -0.171 0.1883 -0.1780 -0.1180 0.088
C 2.654 -3.880 -4.102 -0.0521 -0.4949 -0.0550 -0.076
H -0.693 -2.515 -5.014 0.1853 -0.1669 -0.0770 0.097
C 5.373 0.983 3.887 0.0545 -0.0597 0.0222 -0.056
C 1.137 -5.920 0.510 0.0688 -0.2320 0.0816 -0.106
H -7.618 4.106 -1.289 -0.2152 0.0110 -0.1279 0.092
C -4.596 2.567 -1.156 -1.4955 0.8153 0.4254 -0.277
H -0.562 -5.094 -2.380 -0.2248 -0.0769 0.0869 0.116
C -5.901 2.882 -1.580 1.1318 -0.5663 -0.2549 -0.014
H 4.899 1.912 3.628 -0.1279 0.1969 -0.0882 0.095
P -2.252 1.851 -1.820 4.2390 -5.9679 5.2473 0.876
H 4.930 -1.749 5.794 -0.1882 0.0062 0.0995 0.103
C -5.956 -1.121 0.861 -0.8511 -0.0027 -0.0715 -0.168
H 0.004 -0.371 -4.023 0.1522 0.1129 -0.0573 0.093
O 1.738 -0.467 -2.364 2.7057 -1.1660 0.5513 -0.253
+++


On February 26, 2009, the District Board, as Responsible Agency under the California Environmental Quality Act (CEQA), exercised its  independent judgment, and determined that an SEIR is necessary to make an informed decision, consistent with the criteria in CEQA Guidelines Section 15162.  The criteria are described in the March 26, 2009 agenda package. 


The Findings of Denial adopted on March 26, 2009 explain the specific rationale for why an SEIR is needed.  Part of the reason for this determination was new information submitted by CAW at the February 26, 2009 public hearing that raised questions about CAW’s ability to serve MBSE from Seaside Basin wells year-round.  This issue has ramifications for community water supply and hydrologic effects to the Carmel River.  For reference, some of the key water supply/hydrology issues are:


  • Co-mingling of CAW supply sources (i.e., Seaside Basin and Carmel River), including State Water Resources Control Board (SWRCB) clarification of whether or not the one-for-one replacement requirement would apply if Carmel River sources are used to serve MBSE at any time, and whether monthly tracking and reporting of water sources would be acceptable.


  • Operational information, including which wells would most likely be used to serve MBSE and how would they be operated?  Is there the possibility of facilitating delivery to MBSE with a CAW well that produces less than 250 gallons per minute, such as CAW’s Darwin or Military Wells?


  • Cumulative effects of CAW delivery of water to MBSE, in light of the pending SWRCB Cease and Desist Order, pending action by the Watermaster to reduce CAW’s allowed extractions from the Seaside Basin, and additional Alternative Producers requesting CAW service instead of their own wells.


  • Alternative means of supplying water to MBSE other than use of CAW supply, especially during the winter when Carmel River sources might be used by CAW.  Could a combination of sources be used, either concurrently or temporally within a year, or perhaps sequentially over several years as new long-term sources of supply become available to CAW?


IMPACT TO DISTRICT STAFF/RESOURCES:    This expenditure is not included in the FY 2008-2009 budget, but is 100% reimbursable by the co-applicants (CAW and SNG).  A rough estimate of costs will also be added for the FY 2009-2010 budget for work anticipated after July 1, 2009, and will be designated as 100% reimbursable.  District staff time will be needed to manage the consultant contract and provide guidance and information.  Affected personnel most likely will include the Project Manager and Water Resources Division Manager.



3-A      DWP Scope of Work and Cost Estimate dated April 6, 2009 



